Greenpeace response to Apple

Background - 24 April, 2012
Greenpeace is calling on Apple to:
  • Make it company policy to seek renewable energy when siting data centres.
  • Urge their electricity suppliers to move away from dirty energy generation, investing instead in renewable energy generation, capacity, and efficiency.
  • Advocate full transparency of their energy use and carbon footprint for all products, as well as their cloud presence.
  • Encourage their product suppliers and manufacturers to adopt similar policies, and give preferences to green suppliers.

Records of molecules, as found in the file:
1.
Computed, not measured: an isolated molecule of Cl3H5Si3, with ωB97M-V/def2-TZVPD.

Results
energy	-2252.1681	a.u.
Kohn-Sham gap	10.2	eV
ΔE to the lowest compared entry with this formula, charge and spin	0.0	kcal/mol
highest occupied orbital energy	-10.085	eV
LUMO level	0.11	eV
structure (SMILES)	[SiH3][Si@H](Cl)[SiH](Cl)Cl
spin multiplicity	1

Geometry as XYZ:
```
11
Properties=species:S:1:pos:R:3:forces:R:3
Si 0.796 -0.754 -0.343 -0.0613 -0.1667 -0.1723
Si 0.140 0.729 1.330 -0.0989 0.3108 -0.1815
Cl 1.334 0.484 2.963 0.2860 -0.2416 0.5683
Si -2.107 0.602 1.959 -0.0711 -0.1068 -0.3862
Cl -2.636 -1.337 2.257 -0.0015 -0.5784 0.0595
Cl -2.572 1.621 3.641 0.1082 0.3723 0.4864
H 2.222 -0.663 -0.662 0.2697 0.2022 0.1101
H 0.524 -2.149 0.007 -0.1313 -0.1969 0.2265
H 0.057 -0.455 -1.572 -0.2268 0.1445 -0.1994
H 0.370 2.130 0.938 -0.0604 0.1072 -0.2362
H -3.021 1.094 0.931 -0.0125 0.1533 -0.2752
```
Forces are in eV/Å.

---

2.
Computed, not measured: a cluster of 2 separate species, C4H10NO2 in total at a distorted geometry, with ωB97M-V/def2-TZVPD.

Results
energy	-363.3892	a.u.
charge	+1
Kohn-Sham gap	10.0	eV
ΔE to the lowest compared entry with this formula, charge and spin	29.1	kcal/mol
highest occupied orbital energy	-14.512	eV
LUMO level	-4.52	eV
spin multiplicity	1

Geometry as XYZ:
```
17
Properties=species:S:1:pos:R:3:forces:R:3
C 0.820 -2.098 -1.743 0.0585 0.2188 1.3014
C 1.300 -1.721 -0.320 -0.7033 -0.2021 -0.6695
C -0.428 -1.287 1.388 0.4623 -0.2350 -0.2121
N 0.246 -2.076 0.657 0.0437 -0.0366 -0.1968
H 0.704 -3.175 -1.832 0.1456 -0.0494 -0.2583
H -0.150 -1.626 -1.880 0.0247 0.0904 -0.4021
H 1.564 -1.697 -2.422 -0.1329 -0.1820 -0.3184
H 2.176 -2.297 -0.034 0.1954 0.2278 0.0568
H 1.440 -0.645 -0.278 0.2274 -0.0009 0.3130
H -1.137 -1.760 2.045 -0.3808 0.2791 0.2140
H -0.238 -0.221 1.325 -0.0933 0.1189 0.0606
H 0.006 -3.064 0.701 0.1488 -0.0315 0.0372
O 0.213 1.639 0.028 0.3144 -0.6139 0.2714
C -0.387 2.669 -0.058 -0.1385 0.0571 -0.3551
O -1.676 2.746 0.260 -0.0807 0.3686 -0.0550
H 0.068 3.589 -0.441 -0.0090 0.1377 0.0641
H -2.003 3.637 0.058 -0.0824 -0.1469 0.1489
```
Forces are in eV/Å.

---

3.
Computed, not measured: a cluster of 2 separate species, C27H27N2O2 in total at a distorted geometry, with ωB97M-V/def2-TZVPD.

Results
energy	-1304.7853	a.u.
charge	+1
Kohn-Sham gap	5.7	eV
ΔE to the lowest compared entry with this formula, charge and spin	39.1	kcal/mol
highest occupied orbital energy	-10.350	eV
LUMO level	-4.62	eV
spin multiplicity	1

Geometry as XYZ:
```
58
Properties=species:S:1:pos:R:3:forces:R:3
C -4.308 6.197 -2.224 0.3773 -0.2062 0.3340
O -3.992 5.548 -0.972 -0.4030 0.2713 -0.3311
C -3.161 4.491 -0.962 0.2262 -0.4661 -0.5478
C -2.772 3.986 0.294 -0.8382 0.9250 -0.1402
C -1.834 3.000 0.386 0.3853 -0.3447 0.2557
C -1.301 2.395 -0.751 -0.2935 0.6943 -0.7578
C -0.217 1.403 -0.560 0.5384 0.1473 1.9363
C 0.819 1.091 -1.567 0.9717 0.4112 -0.4431
C 1.786 0.140 -1.249 -0.1017 -0.9194 -0.2608

In response to the April 17th launch of our report ‘How Clean is Your Cloud’, Apple announced two things. First, they put out a much lower figure on the use of power in the data centres in North Carolina, claiming our figures were incorrect. (Learn why Apple’s figures are different from ours.)

Second, they announced, for the first time, that their data centres in Prineville, Oregon will be powered with 100% renewable energy. Of course this sounds exciting. The key question is how will Apple achieve this? Apple hasn’t explained where that clean energy will come from, and the major utility option in Prineville is PacifiCorp, which is 61% coal power.

We’re asking Apple to fully disclose their plans so people can see how they intend to meet this goal. Will they choose to contract for renewable energy with the smaller utility in Prineville, Central Electric Cooperative, or simply buy dirty energy from PacifiCorp and purchase renewable energy credits? Or will they build their own renewable sources on site? Once Apple gives us details, we can of course review their position in our scorecard.

=====
C7H7F2NOP | ωB97M-V/def2-TZVPD

XYZ file:
```
19
Properties=species:S:1:pos:R:3:forces:R:3
C 2.4967 0.7676 0.0968 -1.858 -0.069 -1.025
C 1.9803 2.0561 -0.0236 2.236 1.746 1.133
C 1.6595 -0.3164 -0.0429 -3.767 2.352 0.155
C 0.6146 2.3372 -0.0265 0.213 -0.143 -0.222
C 0.2824 -0.0143 -0.1205 -1.057 -2.084 0.695
C -0.2309 1.2793 -0.0204 -0.621 -2.426 -0.876
C -0.9777 -2.5755 0.0827 4.108 1.846 -3.442
N -0.9323 -1.0873 -0.1495 0.465 2.666 0.860
O -1.6903 1.2965 -0.1082 1.857 0.751 0.816
F -3.2718 -0.2017 1.2097 1.971 -0.468 -1.434
F -3.2371 -0.2120 -1.1580 0.852 -0.618 1.275
P -2.2232 -0.1422 0.0289 -2.278 0.489 -1.212
H 3.4892 0.4684 0.1476 1.968 0.479 0.202
H 2.7676 2.9007 0.0454 -1.742 -1.291 -0.306
H 1.9338 -1.2943 -0.0552 1.137 -2.586 -0.007
H 0.1550 3.2848 -0.0937 0.134 1.228 0.071
H -0.1930 -2.7900 0.7681 0.045 -0.547 0.987
H -1.9384 -2.7357 0.3310 -3.026 -1.442 1.198
H -0.6843 -3.0211 -0.9115 -0.637 0.118 1.131
```
Positions in Å, forces in eV/Å.

The highest occupied orbital energy comes out at -13.65 eV. The charge is +1. The lowest unoccupied orbital energy is -0.14273 hartree. The molar mass is 190.11 g/mol. As for the gap between HOMO and LUMO: 9.8 eV.


C7H7F2O2P | ωB97M-V/def2-TZVPD

XYZ file:
```
19
Properties=species:S:1:pos:R:3:forces:R:3
C 1.3402 2.3447 -0.8139 -0.756 -2.161 0.888
C 1.2880 0.9426 -0.6103 -0.414 1.384 -0.012
C 0.7900 3.1891 0.0706 -0.185 2.038 2.975
C 0.7033 0.5359 0.5726 -0.926 -1.121 0.226
C 0.1253 2.7329 1.2951 0.901 0.785 -2.845
C 0.0740 1.4077 1.4984 1.404 -1.468 -0.161
C -1.9915 -1.2899 0.1194 1.082 -1.065 -2.009
O -2.9126 -1.0169 0.9391 -1.526 2.195 1.636
O -2.1814 -2.5630 -0.2638 -0.389 -0.942 0.071
F -0.5142 3.5640 2.0746 -0.205 1.060 0.856
F -0.4008 0.8143 2.6338 -0.134 1.047 -0.612
P 0.2197 -1.1565 1.0813 2.901 -1.715 0.787
H 1.7033 2.7784 -1.6768 1.169 0.520 -1.715
H 1.6603 0.3443 -1.4411 -0.142 -0.486 0.717
H 1.1338 4.2573 -0.0289 -1.274 -0.944 0.223
H -3.5761 -1.6751 1.1820 0.073 -0.824 -0.239
H -1.4887 -2.9804 -0.7926 0.086 0.756 -0.023
H 0.8130 -1.8674 -0.0196 -0.363 0.286 0.147
H 1.4909 -1.4990 1.9271 -1.302 0.654 -0.909
```
Positions in Å, forces in eV/Å.

The highest occupied orbital energy comes out at -7.92 eV. The lowest unoccupied orbital energy is 0.02080 hartree. The value obtained for the relative energy (zero: lowest compared OMol25 entry of this formula, charge and spin) is 3.921 eV. The molar mass is 192.10 g/mol. As for the gap between HOMO and LUMO: 8.5 eV.


C7H7F3N2S | ωB97M-V/def2-TZVPD

XYZ file:
```
20
Properties=species:S:1:pos:R:3:forces:R:3
C 3.1419 -0.2904 0.4480 0.227 -0.444 0.268
C 3.1274 -1.5931 0.7497 -0.036 0.148 -0.062
C 1.2833 -0.8865 -0.8217 -0.129 -0.907 0.106
C -1.0715 1.2392 1.0114 -1.246 -0.440 -0.707
C -1.4587 2.0238 -0.2084 -0.158 -0.070 -0.091
C -2.0856 0.7744 0.3426 1.078 0.568 0.410
C -3.0841 -0.2809 0.1338 -0.344 -0.570 0.047
N 2.1319 0.0937 -0.4013 0.294 0.584 0.146
N 0.3301 -0.6606 -1.6094 -0.525 0.429 -0.507
F -3.0651 -1.1969 1.1176 0.128 0.089 0.125
=====
The calculated molecules stop here

Meanwhile, what we're asking for remains unchanged. Apple currently has no policy that expresses preference for renewables, they are not active in advocating for renewables with their government or suppliers and they will not disclose their energy data for public scrutiny. As an enormously innovative, rich and powerful company, they could do all these things, as Google, Yahoo and Facebook have done, and more. Come on Apple, let’s think different.

Update May 2, 2012

New information from the North Carolina Division of Air Quality shows that Apple applied for and received permits for 24 backup diesel generators that would provide the iDataCenter with 54 megawatts (MW) of electricity.

All data centers need diesel generators as an on-site backup so that if there’s a blackout, the facility can keep running, and many companies install some redundant backup capacity for additional security. When it applied for these permits, Apple anticipated a normal power demand for the facility of 75% of the rated capacity of these generators, or 41 MW, nearly double the amount Apple claimed after Greenpeace launched our campaign.

Why would Apple want to mislead the public by seeking to hide its future power demands? By claiming their electricity demand will be much smaller, Apple can convey the impression that most of their electricity would come from their solar panels and fuel cells on site, not Duke’s coal. But Apple’s diesel permits show that the company clearly is in a position to continue to expand and increase the power demand of its Maiden iDataCenter, and that expansion would be fuelled by dirty coal from Duke.

See Apple's application and permit with the North Carolina Division of Air Quality.

Update May 23, 2012

Two days after Greenpeace activists barricaded themselves in an “iPod” at Apple’s headquarters to protest against powering the iCloud with coal, Apple made a bold claim to make all three of its data centres “coal free” and has doubled the amount of solar energy powering its data centre in North Carolina.

For a fuller analysis of the announcement, see our blog.

Update March 22 2013

Apple released a report today on its environmental progress. Apple’s announcement shows that it has made real progress in its commitment to lead the way to a clean energy future. But of course, there’s still plenty of work left for Apple to do. Read more here.
